Guillaume Salagnac - Publications

G. Berthou, K. Marquet, T. Risset, G. Salagnac. MPU-based Incremental Checkpointing for Transiently-Powered Systems ; in proceedings of DSD 2020.
G. Berthou, K. Marquet, T. Risset, G. Salagnac. Accurate Power Consumption Evaluation for Peripherals in Ultra Low-Power embedded systems ; in proceedings of GIoTS 2020.
G. Berthou, T. Delizy, K. Marquet, T. Risset, G. Salagnac. Sytare: a Lightweight Kernel for NVRAM-Based Transiently-Powered Systems ; in  IEEE TC.
T. Delizy, S. Gros, K. Marquet, M. Moy, T. Risset, G. Salagnac. Estimating the Impact of Architectural and Software Design Choices on Dynamic Allocation of Heterogeneous Memories ; in proceedings of RSP 2018.
<<<
Al4Si2Ni: computed powder diffraction line list (Cu Kα), based on a cell relaxed with GGA-PBE.
Intensities are scaled so that the largest is 100.

Largest 6 diffraction maxima, in order of falling intensity, 2θ = 10–90°:
| 2theta | I (rel.) | h k l |
| --- | --- | --- |
| 27.68 | 100 | 0 1 2 |
| 46.17 | 93 | 1 1 0 |
| 41.25 | 72 | 0 1 7 |
| 48.95 | 55 | 1 0 9 |
| 26.17 | 46 | 1 0 0 |
| 87.62 | 20 | 2 1 9 |

Crystal structure
```
data_Al4Si2Ni
_symmetry_space_group_name_H-M 'P 1'
_symmetry_Int_Tables_number 1
_symmetry_space_group_name_Hall 'P 1'
_cell_length_a 3.932
_cell_length_b 3.932
_cell_length_c 19.994
_cell_angle_alpha 90.00
_cell_angle_beta 90.00
_cell_angle_gamma 120.00
loop_
_atom_site_label
_atom_site_fract_x
_atom_site_fract_y
_atom_site_fract_z
Al1 0.333 0.667 0.043
Al2 0.333 0.667 0.336
Al3 0.333 0.667 0.578
Al4 0.333 0.667 0.788
Al5 0.667 0.333 0.212
Al6 0.667 0.333 0.422
Al7 0.667 0.333 0.664
Al8 0.667 0.333 0.957
Si1 0.000 0.000 0.269
Si2 0.000 0.000 0.731
Si3 0.333 0.667 0.912
Si4 0.667 0.333 0.088
Ni1 0.333 0.667 0.458
Ni2 0.667 0.333 0.542
```

* * * * *

No. 1
# Li2H6PdO6
Calculated X-ray diffraction stick pattern, Cu Kα X-rays. Input: a PBE-relaxed structure.

Principal peaks in the range 2θ from 10° to 90°, in order of rising 2θ:
2theta, I_rel
19.4, 100.0
20.3, 29.7
28.2, 70.8
39.9, 56.2
44.7, 21.4
54.5, 25.9

```
data_Li2H6PdO6
_symmetry_space_group_name_H-M 'P 1'
_symmetry_Int_Tables_number 1
_cell_length_a 5.287
_cell_length_b 5.287
_cell_length_c 4.366
_cell_angle_alpha 90.00
_cell_angle_beta 90.00
_cell_angle_gamma 120.00
loop_
_symmetry_equiv_pos_as_xyz
'x,y,z'
loop_
_atom_site_label
_atom_site_type_symbol
_atom_site_fract_x
_atom_site_fract_y
_atom_site_fract_z
Li1 Li 0.333 0.667 0.040
Li2 Li 0.667 0.333 0.960
H1 H 0.151 0.788 0.579
H2 H 0.212 0.362 0.579
H3 H 0.362 0.151 0.421
H4 H 0.638 0.849 0.579
H5 H 0.788 0.638 0.421
H6 H 0.849 0.212 0.421
Pd1 Pd 0.000 0.000 0.000
O1 O 0.012 0.684 0.750
O2 O 0.316 0.327 0.750
O3 O 0.327 0.012 0.250
O4 O 0.673 0.988 0.750
O5 O 0.684 0.673 0.250
O6 O 0.988 0.316 0.250
```

=====

No. 2
# SrLiTa2HO7
Calculated X-ray diffraction stick pattern, Cu Kα X-rays. Input: a PBE-relaxed structure.

Principal peaks in the range 2θ from 10° to 90°, in order of rising 2θ:
2theta, I_rel
19.3, 45.4
23.1, 67.4
27.0, 100.0
33.4, 84.8
46.2, 40.7
50.5, 33.6

```
data_SrLiTa2HO7
_symmetry_space_group_name_H-M 'P 1'
_symmetry_Int_Tables_number 1
_cell_length_a 5.582
_cell_length_b 9.583
_cell_length_c 9.583
_cell_angle_alpha 33.58
_cell_angle_beta 90.00
_cell_angle_gamma 90.00
loop_
_symmetry_equiv_pos_as_xyz
'x,y,z'
loop_
_atom_site_label
_atom_site_type_symbol
_atom_site_fract_x
_atom_site_fract_y
_atom_site_fract_z
Sr1 Sr 0.250 0.249 0.751
Sr2 Sr 0.750 0.751 0.249
Li1 Li 0.000 0.242 0.242
Li2 Li 0.500 0.242 0.242
Ta1 Ta 0.250 0.632 0.133
Ta2 Ta 0.250 0.863 0.367
Ta3 Ta 0.750 0.133 0.632
Ta4 Ta 0.750 0.367 0.863
H1 H 0.250 0.815 0.681
H2 H 0.750 0.681 0.815
O1 O 0.000 0.123 0.123
>>>
G. Berthou, T. Delizy, K. Marquet, T. Risset, G. Salagnac. Peripheral State Persistence and Interrupt Management For Transiently Powered Systems ; in proceedings of NVMW 2018.
G. Berthou, T. Delizy, K. Marquet, T. Risset, G. Salagnac. Peripheral State Persistence For Transiently Powered Systems ; in proceedings of IOENT 2017 (a workshop of the Global IoT Summit). A longer version of this paper is available as INRIA Technical Report RR-9018, 2017. Article en français présenté à ComPAS 2017.
F. Hutu, G. Salagnac, K. Marquet, T. Risset. A platform for energy consumption measurements of the communicating objects ; in proceedings of URSI 2016.
F. Ait Aoudia, K. Marquet, G. Salagnac. Incremental checkpointing of program state to NVRAM for transiently-powered systems ; in proceedings of ReCoSOC 2014.
F. Goichon, G. Salagnac, S. Frénot. Swap Fairness for Thrashing Mitigation ; in proceedings of ECSA 2013. A longer version of this paper is available as Inria Research Report RR-8388, 2013.
R. Jurdak, P. Corke, A. Cotillon, D. Dharman, C. Crossman, G. Salagnac. Energy-efficient Localisation: GPS Duty Cycling with Radio Ranging ; in ACM TOSN Volume 9 Issue 2, March 2013.
F. Goichon, G. Salagnac, P. Parrend, S. Frénot. Static vulnerability detection in Java service-oriented components ; in Journal of Computer Virology and Hacking Techniques. Volume 9, Issue 1, Feb. 2013.
T. Vuillemin, F. Goichon, C. Lauradoux, G. Salagnac. Entropy transfers in the Linux Random Number Generator ; INRIA Research Report RR-8060, 2012.
F. Goichon, G. Salagnac, S. Frénot. Exploiting Java Code Interactions ; INRIA Technical Report RT-0419, 2011.
F. Goichon, G. Salagnac, S. Frénot. Hardware Resource Control in L4 micro-kernels ; poster presented at CFSE 2011.
R. Jurdak, P. Corke, D. Dharman, G. Salagnac. Adaptive GPS Duty Cycling and Radio Ranging for Energy-efficient Localization ; in proceedings of SenSys 2010.
**The entry is interrupted by records of crystals**
'''
Entry 1:
Starting from a GGA-PBE-relaxed structure, the XRD peak list of Sm2Hg3 was computed for λ = 1.5418 Å (Cu Kα).
No peak broadening, texture or thermal motion is included.

Largest 8 diffraction maxima, sorted by position, 15° ≤ 2θ ≤ 90°:
- 2θ = 20.63°, I = 35
- 2θ = 31.75°, I = 100
- 2θ = 34.00°, I = 77
- 2θ = 40.10°, I = 50
- 2θ = 48.85°, I = 44
- 2θ = 53.57°, I = 14
- 2θ = 64.98°, I = 29
- 2θ = 70.28°, I = 27

Structural model:
Unit cell a=9.133 b=9.133 c=9.133 alpha=109.47 beta=109.47 gamma=109.47
Positions (direct):
Sm 0.000 0.080 0.500
Sm 0.000 0.580 0.500
Sm 0.080 0.500 0.000
Sm 0.420 0.420 0.420
Sm 0.500 0.000 0.080
Sm 0.500 0.000 0.580
Sm 0.580 0.500 0.000
Sm 0.920 0.920 0.920
Hg 0.014 0.250 0.264
Hg 0.236 0.486 0.750
Hg 0.250 0.264 0.014
Hg 0.250 0.986 0.736
Hg 0.264 0.014 0.250
Hg 0.486 0.750 0.236
Hg 0.514 0.764 0.750
Hg 0.736 0.250 0.986
Hg 0.750 0.236 0.486
Hg 0.750 0.514 0.764
Hg 0.764 0.750 0.514
Hg 0.986 0.736 0.250


Entry 2:
Starting from a GGA-PBE-relaxed structure, the XRD peak list of SmHg4 was computed for λ = 1.5418 Å (Cu Kα).
No peak broadening, texture or thermal motion is included.

Largest 8 diffraction maxima, sorted by position, 15° ≤ 2θ ≤ 90°:
- 2θ = 33.03°, I = 93
- 2θ = 34.46°, I = 100
- 2θ = 35.71°, I = 36
- 2θ = 36.61°, I = 43
- 2θ = 44.68°, I = 21
- 2θ = 52.07°, I = 25
- 2θ = 66.70°, I = 30
- 2θ = 68.07°, I = 18

Structural model:
Unit cell a=8.717 b=8.717 c=8.717 alpha=147.29 beta=135.09 gamma=56.66
Positions (direct):
Sm 0.359 0.109 0.250
Sm 0.641 0.891 0.750
Hg 0.000 0.500 0.500
Hg 0.148 0.898 0.250
Hg 0.197 0.697 0.501
Hg 0.304 0.303 0.001
Hg 0.500 0.500 0.000
Hg 0.696 0.697 0.999
Hg 0.803 0.303 0.499
Hg 0.852 0.102 0.750


Entry 3:
Starting from a GGA-PBE-relaxed structure, the XRD peak list of Sm7Sn5Hg was computed for λ = 1.5418 Å (Cu Kα).
No peak broadening, texture or thermal motion is included.

Largest 8 diffraction maxima, sorted by position, 15° ≤ 2θ ≤ 90°:
- 2θ = 27.45°, I = 66
- 2θ = 32.08°, I = 59
- 2θ = 32.21°, I = 97
- 2θ = 32.52°, I = 42
- 2θ = 33.42°, I = 57
- 2θ = 35.92°, I = 52
- 2θ = 36.29°, I = 100
- 2θ = 56.66°, I = 44

Structural model:
Unit cell a=8.426 b=8.426 c=8.426 alpha=135.23 beta=95.75 gamma=100.94
Positions (direct):
Sm 0.000 0.000 0.000
Sm 0.303 0.637 0.666
Sm 0.376 0.376 0.000
Sm 0.454 0.121 0.334
Sm 0.787 0.121 0.666
Sm 0.862 0.362 0.500
Sm 0.971 0.637 0.334
Sn 0.124 0.133 0.492
Sn 0.124 0.632 0.991
Sn 0.378 0.878 0.500
Sn 0.640 0.133 0.009
Sn 0.640 0.632 0.508
Hg 0.678 0.678 0.000


Entry 4:
Starting from a GGA-PBE-relaxed structure, the XRD peak list of Sm8Sn2Hg3 was computed for λ = 1.5418 Å (Cu Kα).
No peak broadening, texture or thermal motion is included.

Largest 8 diffraction maxima, sorted by position, 15° ≤ 2θ ≤ 90°:
- 2θ = 30.05°, I = 26
- 2θ = 32.07°, I = 49
- 2θ = 33.72°, I = 53
- 2θ = 33.89°, I = 100
- 2θ = 44.52°, I = 19
- 2θ = 58.34°, I = 21
- 2θ = 60.95°, I = 24
- 2θ = 69.95°, I = 14

Structural model:
'''
**Here the entry continues**
S. Frénot, F. Le Mouel, J. Ponge, G. Salagnac. Various Extensions for the Ambient OSGi framework ; in proceedings of Adamus 2010 (a workshop of ICPS 2010). An extended version of this paper was published in the International Journal of Adaptive, Resilient and Autonomic Systems in 2011.
R. Jurdak, P. Corke, D. Dharman, G. Salagnac, C. Crossman, P. Valencia, G. Bishop-Hurley. Energy-efficient Localization for Virtual Fencing ; in proceedings of IPSN 2010, poster session.
G. Salagnac. Synthèse de gestionnaires mémoire pour applications Java temps-réel embarquées ; thèse de doctorat de l'Université Joseph Fourier. Avril 2008.
G. Salagnac, C. Rippert, S. Yovine. Semi-Automatic Region-Based Memory Management for Real-Time Java Embedded Systems ; in proceedings of RTCSA 2007.
G. Salagnac, C. Nakhli, C. Rippert, S. Yovine. Efficient Region-Based Memory Management for Resource-limited Real-Time Embedded Systems ; in proceedings of ICOOOLPS 2006 (a workshop of ECOOP 2006).
G. Salagnac. Automatic Region-based Memory Management for Real-time Embedded Systems ; in proceedings of LCTES 2006, poster session.
G. Salagnac, S. Yovine, D. Garbervetsky. Fast Escape Analysis for Region-based Memory Management ; in proceedings of AIOOL 2005 (a workshop of VMCAI 2005).
G. Salagnac. Gestion automatique de la mémoire dynamique pour des programmes Java temps-réel embarqués ; rapport de D.E.A. de l'Université Joseph Fourier. Juin 2004.